Fundamental Theory

Some of the biggest challenges in cosmology—such as explaining the origin of the Big Bang and the current accelerated expansion of our Universe—are tied to fundamental questions about the nature of physical laws. Inspired by these connections, members of LeCosPA study the foundations of theoretical physics.
Spacetime and Quantum Mechanics
Spacetime and quantum mechanics lie at the heart of physics, and have led to a spectacularly successful understanding of the laws of Nature, from the tiniest distances probed at the Large Hadron Collider (LHC) to the size of the entire observable universe.
However, while the spacetime concept is central to Einstein’s theory of relativity, we know that ultimately it must break down, as seen most dramatically at the Big Bang singularity. Moreover, the laws of quantum mechanics crucially rely on the notion of time. The breakdown of spacetime therefore also means that quantum mechanics needs to be extended to study the origin of the Universe. This suggests that our pillars of fundamental physics are only approximate notions that must ultimately arise from more basic concepts. Discovering these concepts is one of the grand challenges of science in the 21st century.
Scattering Amplitudes
From Rutherford’s discovery of the atomic nucleus, to the discovery of the Higgs boson at the LHC, particle scattering has been vital to progress in physics. In quantum mechanics, only the probabilities of scattering events can be predicted, as the squares of 'scattering amplitudes'. Their study has played a key role in the development of theoretical physics, especially in the hands of Richard Feynman, who gave us his famous pictorial representation of scattering processes.
Feynman diagrams represent an amplitude as a sum over all ways the collisions between particles could take place in spacetime. However, computing the sum of Feynman diagrams can be very complicated. For example, the scattering of six gluons involves 220 different tree-level diagrams, each represented by a complicated mathematical expression. Strikingly, the final results are very simple, which suggests the existence of alternative basic principles that bring the hidden simplicity to light. This resonates strongly with other indications from quantum gravity and quantum cosmology for the need to replace spacetime and quantum mechanics with more primitive concepts. One of the leading researchers searching for these hidden structures in scattering amplitudes is LeCosPA's affiliate faculty member Yu-tin Huang.
Hidden Geometries
In recent years, we have come to realize that there are entirely different ways of conceptualizing what scattering amplitudes are. Researchers discovered that scattering amplitudes in certain special theories can be thought of as the 'volume' of a new geometrical object called the 'amplituhedron'. This geometric shape is an example of a 'positive geometry', a concept that generalizes the familiar convex polyhedra that have been studied since antiquity.
The amplituhedron is described by the energies, momenta and spins of the particles involved in the scattering process, but makes no reference to their trajectories in spacetime and to the evolution of their quantum state. It therefore gives an existence proof of a new framework for particle physics in which spacetime and quantum mechanics emerge from more basic mathematical concepts. Yet, it seems clear that we have just scratched the surface of a much deeper set of physical and mathematical ideas awaiting discovery. So far, the amplituhedron has been constructed only for toy models, and the big challenge is to find the geometries relevant to the real world, including gravity and the expanding universe.
What comes next are materials data, not part of the page >
____________
(1)
BaNbS3 r²SCAN optimized geometry; symmetry = P6_3/mmc; E_tot = -16.734 eV per atom; theoretical density = 4.51 g/cm³
1.0
-4.185 -5.465 -0.982
2.342 1.484 6.376
-4.574 3.341 0.902
S Nb Ba
6 2 2
Direct
0.170 0.341 0.250
0.830 0.659 0.750
0.830 0.170 0.750
0.170 0.830 0.250
0.341 0.170 0.750
0.659 0.830 0.250
0.000 0.000 0.000
0.000 0.000 0.500
0.667 0.333 0.250
0.333 0.667 0.750

(2)
Ba6Nb5S17 r²SCAN optimized geometry; symmetry = P1; E_tot = -16.632 eV per atom; theoretical density = 4.27 g/cm³
1.0
8.854 -0.024 -0.072
1.205 8.983 0.040
0.876 0.933 8.963
S Nb Ba
17 5 6
Direct
0.265 0.074 0.942
0.417 0.233 0.579
0.926 0.079 0.747
0.107 0.930 0.256
0.607 0.420 0.258
0.750 0.425 0.588
0.265 0.403 0.070
0.077 0.251 0.411
0.085 0.739 0.939
0.415 0.582 0.736
0.742 0.932 0.088
0.246 0.586 0.410
0.751 0.584 0.919
0.576 0.780 0.412
0.570 0.918 0.760
0.902 0.256 0.066
0.926 0.749 0.591
0.008 0.993 0.003
0.476 0.466 0.487
0.136 0.204 0.166
0.826 0.833 0.842
0.664 0.681 0.650
0.087 0.412 0.744
0.245 0.903 0.590
0.579 0.259 0.894
0.416 0.721 0.088
0.764 0.091 0.420
0.913 0.592 0.262

(3)
BaNd2O4 r²SCAN optimized geometry; symmetry = Pnma; E_tot = -19.008 eV per atom; theoretical density = 6.73 g/cm³
1.0
-3.217 -0.400 1.608
0.357 -10.489 -1.898
5.720 -1.795 10.999
Nd O Ba
8 16 4
Direct
0.250 0.420 0.389
0.750 0.076 0.388
0.250 0.920 0.111
0.750 0.080 0.889
0.250 0.424 0.888
0.250 0.924 0.612
0.750 0.580 0.611
0.750 0.576 0.112
0.750 0.485 0.783
0.250 0.429 0.577
0.250 0.622 0.982
0.750 0.378 0.018
0.750 0.071 0.077
0.250 0.929 0.923
0.250 0.515 0.217
0.250 0.122 0.518
0.250 0.212 0.830
0.750 0.788 0.170
0.750 0.878 0.482
0.250 0.712 0.670
0.750 0.985 0.717
0.750 0.288 0.330
0.250 0.015 0.283
0.750 0.571 0.423
0.250 0.751 0.352
0.250 0.251 0.148
0.750 0.249 0.648
0.750 0.749 0.852

(4)
BaNd2S4 r²SCAN optimized geometry; symmetry = Pnma; E_tot = -19.180 eV per atom; theoretical density = 4.73 g/cm³
1.0
4.199 0.000 0.000
0.000 12.411 0.000
0.000 0.000 14.942
S Nd Ba
16 8 4
Direct
0.750 0.289 0.825
0.750 0.789 0.675
0.750 0.368 0.521
0.750 0.868 0.979
0.250 0.711 0.175
0.250 0.516 0.718
0.250 0.211 0.325
0.750 0.484 0.282
0.750 0.077 0.580
0.250 0.632 0.479
0.750 0.984 0.218
0.250 0.423 0.080
0.750 0.577 0.920
0.250 0.923 0.420
0.250 0.016 0.782
0.250 0.132 0.021
0.250 0.924 0.105
0.250 0.422 0.893
0.750 0.076 0.895
0.250 0.922 0.607
0.750 0.578 0.107
0.250 0.424 0.395
0.750 0.576 0.605
0.750 0.078 0.393
0.750 0.747 0.341
0.250 0.753 0.841
0.750 0.247 0.159
0.250 0.253 0.659
____________
Here the page continues >
Timeless Cosmology
The main observables in cosmology are correlation functions, such as the spatial correlations in the distribution of galaxies in the sky. These correlations arise from primordial correlations in the density of matter at the origin of the hot Big Bang and a central open question is what created the primordial seed fluctuations. Inspired by the discovery of positive geometries in particle physics, Prof. Baumann and collaborators are now searching for a deeper geometric origin of the observed cosmological correlations.
Concretely, they are searching for autonomous mathematical structures living purely in the space of kinematic data from which cosmological correlators can be derived. This would provide a radical new picture of standard cosmology where time evolution—and hence the dynamics of the early universe—is an emergent concept. This work is part of the ERC Synergy Grant UNIVERSE+ that was recently awarded to Prof. Baumann and co-PIs Nima Arkani-Hamed (Institute for Advanced Study, Princeton), Johannes Henn (Max Planck Institute for Physics, Munich) and Bernd Sturmfels (Max Planck Institute for Mathematics in the Sciences, Leipzig).